== Material ==
Below is a gas-phase ion, C10H14N5 (charge +1), with properties calculated with ωB97M-V/def2-TZVPD.

The geometry in XYZ format:
```
29
Properties=species:S:1:pos:R:3
C -1.311 0.718 2.866
C 0.069 -1.084 2.493
C 0.612 -2.301 2.842
C 0.541 -2.640 4.186
C -0.234 -1.832 5.033
C -0.136 1.099 -2.786
C -0.125 2.078 -1.614
C -0.648 -0.266 -2.337
C 0.709 1.506 -0.466
C 0.189 -0.781 -1.162
N -1.177 0.907 1.602
N -0.849 -0.754 4.633
N -0.654 -0.390 3.377
N -0.558 0.011 0.926
N 0.171 0.209 -0.106
H -1.925 1.333 3.494
H 1.129 -2.913 2.119
H 1.040 -3.516 4.569
H -0.393 -2.085 6.069
H -0.776 1.485 -3.578
H 0.872 0.995 -3.190
H 0.294 3.035 -1.922
H -1.145 2.250 -1.266
H -1.692 -0.188 -2.023
H -0.594 -0.981 -3.157
H 1.747 1.370 -0.784
H 0.680 2.161 0.405
H -0.213 -1.719 -0.775
H 1.227 -0.932 -1.473
```

Its HOMO-LUMO gap is 7.44 eV. For the LUMO energy, the calculation gives -4.554 eV. The charge is +1. For the energy above the lowest of the compared OMol25 structures with the same formula, charge and spin, the calculation gives 109.7 kcal/mol.



Below is a molecular structure, C24H23EuN3O7P3S2, with properties calculated with ωB97M-V/def2-TZVPD.

The geometry in XYZ format:
```
63
Properties=species:S:1:pos:R:3
Eu -0.811 -1.531 0.515
C 2.578 -3.351 3.595
C 1.777 -2.312 2.844
O 2.141 -0.989 3.155
P -0.001 -2.328 3.304
O 0.069 -2.126 4.863
O -0.661 -3.759 3.178
O -0.786 -1.253 2.624
P 1.711 -2.537 1.011
O 3.070 -3.232 0.537
O 0.508 -3.383 0.683
O 1.608 -1.176 0.399
H 2.532 -3.128 4.661
H 3.620 -3.333 3.273
H 2.149 -4.335 3.408
H 2.691 -0.617 2.448
H -0.789 -1.942 5.256
H -1.091 -4.010 2.341
H 3.051 -4.188 0.601
N -0.053 -1.149 -2.024
C -0.604 0.008 -2.658
C -1.161 -0.080 -3.925
C -1.611 1.058 -4.570
C -1.485 2.295 -3.962
C -0.991 2.385 -2.672
C -0.564 1.246 -1.996
P -0.142 1.251 -0.207
C 1.656 1.568 -0.183
C 2.253 1.744 1.065
C 3.631 1.801 1.168
C 4.422 1.659 0.036
C 3.831 1.500 -1.205
C 2.451 1.459 -1.318
C -0.841 2.848 0.325
C -0.126 4.040 0.271
C -0.732 5.226 0.647
C -2.049 5.228 1.080
C -2.764 4.040 1.137
C -2.163 2.850 0.766
H -0.115 -1.945 -2.664
H 0.933 -0.983 -1.789
H -1.251 -1.045 -4.402
H -2.055 0.976 -5.550
H -1.781 3.192 -4.485
H -0.937 3.344 -2.179
H 1.631 1.815 1.949
H 4.097 1.945 2.132
H 5.500 1.657 0.123
H 4.444 1.392 -2.090
H 1.997 1.331 -2.291
H 0.898 4.037 -0.075
H -0.179 6.153 0.588
H -2.517 6.158 1.369
H -3.793 4.048 1.465
H -2.711 1.914 0.794
S -3.124 -0.912 -0.707
C -3.300 -2.656 -0.770
S -2.620 -3.564 0.551
C -3.963 -3.277 -1.805
C -4.534 -2.553 -2.863
N -4.997 -1.987 -3.750
C -3.987 -4.675 -1.934
N -3.959 -5.815 -2.088
```

Its HOMO-LUMO gap (alpha / beta) is 6.79 / 7.40 eV. As for the spin multiplicity: 7. For the LUMO energy (alpha / beta), the calculation gives -0.738 / -0.134 eV. The charge is 0. For the energy above the lowest of the compared OMol25 structures with the same formula, charge and spin, the calculation gives 0.0 kcal/mol.



Below is a single C4H6ClN3 molecule, with properties calculated with ωB97M-V/def2-TZVPD.

The geometry in XYZ format:
```
14
Properties=species:S:1:pos:R:3
H 1.266 -1.596 -1.565
N 1.522 -0.609 -1.591
C 0.927 -0.025 -0.639
N 0.992 1.342 -0.403
C -0.056 1.710 0.439
C -0.686 0.644 0.934
Cl -1.952 0.625 2.094
C -0.026 -0.617 0.420
N -0.825 -1.676 -0.148
H 1.329 1.934 -1.156
H -0.244 2.752 0.651
H 0.594 -1.026 1.223
H -1.484 -1.309 -0.822
H -1.356 -2.148 0.562
```

Its HOMO-LUMO gap is 9.15 eV. For the LUMO energy, the calculation gives 0.779 eV. The charge is 0. For the energy above the lowest of the compared OMol25 structures with the same formula, charge and spin, the calculation gives 28.7 kcal/mol. The SMILES is [H]/N=C1/NC=C(Cl)[C@H]1N.



Below is a molecular structure, C8H8BBr4F36O8P6Zr, with properties calculated with ωB97M-V/def2-TZVPD.

The geometry in XYZ format:
```
72
Properties=species:S:1:pos:R:3
Zr 2.624 -0.554 -0.459
P 2.948 2.392 -0.292
F 3.890 1.169 -0.834
F 1.847 1.467 -1.101
F 2.645 1.242 0.849
F 1.814 3.346 0.449
F 4.197 3.170 0.465
F 3.026 3.134 -1.710
== Request ==
The reader should reproduce the part of the entries further up that starts with the line with "1.227 -0.932" and stops after the one with "0.537".
== Solution ==
H 1.227 -0.932 -1.473
```

Its HOMO-LUMO gap is 7.44 eV. For the LUMO energy, the calculation gives -4.554 eV. The charge is +1. For the energy above the lowest of the compared OMol25 structures with the same formula, charge and spin, the calculation gives 109.7 kcal/mol.



Below is a molecular structure, C24H23EuN3O7P3S2, with properties calculated with ωB97M-V/def2-TZVPD.

The geometry in XYZ format:
```
63
Properties=species:S:1:pos:R:3
Eu -0.811 -1.531 0.515
C 2.578 -3.351 3.595
C 1.777 -2.312 2.844
O 2.141 -0.989 3.155
P -0.001 -2.328 3.304
O 0.069 -2.126 4.863
O -0.661 -3.759 3.178
O -0.786 -1.253 2.624
P 1.711 -2.537 1.011
O 3.070 -3.232 0.537